29) take out food and virgin drinks? Wedding and more...?

43 1 0

Ignore the pink. Its now blue *wink wink*

  Cassy's pov

Peter hands me our son and I smile.

"Hi there. I'm your mommy," I say

Peter smiles and then sighs. He slowly gets down on one knee and I look at him weirdly.

These data records were left in the piece by mistake:
____________
(1)
{"formula": "C3H10N2O3", "method": "ωB97M-V/def2-TZVPD", "elements": ["C", "C", "N", "C", "N", "H", "H", "H", "H", "H", "H", "O", "H", "H", "O", "H", "H", "O"], "positions_angstrom": [[0.270, -0.170, -0.965], [0.989, -1.246, -0.186], [1.877, -0.700, 0.777], [0.739, -0.010, 1.074], [-0.014, 0.850, 0.154], [0.921, 0.413, -1.632], [0.681, -2.252, -0.089], [0.333, -0.270, 2.045], [-1.073, 0.914, 0.202], [-0.675, -0.483, -1.507], [-3.414, 0.933, 1.696], [-2.713, 1.080, 1.125], [-3.758, -0.634, -0.793], [-2.783, 0.280, 0.319], [-2.762, -0.387, -0.691], [4.626, 0.635, -0.316], [3.007, 0.287, -0.348], [3.750, 0.760, -0.867]], "gap_ev": 4.52, "multiplicity": 1, "fmax_ev_per_a": 5.06, "relative_energy_kj_mol": 822.2, "mol_weight_g_mol": 122.12, "charge": 0}

(2)
{"formula": "C3H10N2O3", "method": "ωB97M-V/def2-TZVPD", "elements": ["C", "C", "N", "C", "N", "H", "H", "H", "H", "H", "H", "O", "H", "H", "O", "H", "H", "O"], "positions_angstrom": [[-0.031, 0.658, -1.055], [-0.706, -0.630, -1.314], [-1.897, -0.850, -0.542], [-0.942, -0.634, 0.392], [-0.130, 0.522, 0.429], [-0.660, 1.498, -1.361], [-0.472, -1.481, -1.941], [-0.475, -1.497, 0.870], [0.790, 0.264, 0.798], [0.998, 0.726, -1.429], [2.811, -0.060, 2.503], [2.416, 0.110, 1.652], [3.720, -0.337, -0.927], [2.785, 0.151, 0.442], [2.845, -0.030, -0.695], [-3.626, 1.139, 1.210], [-3.411, -0.151, 0.461], [-4.014, 0.604, 0.508]], "gap_ev": 5.00, "multiplicity": 1, "fmax_ev_per_a": 4.41, "relative_energy_kj_mol": 764.7, "mol_weight_g_mol": 122.12, "charge": 0}

(3)
{"formula": "C3H10N2O4", "method": "ωB97M-V/def2-TZVPD", "elements": ["C", "N", "N", "O", "O", "H", "H", "H", "H", "H", "H", "C", "C", "O", "O", "H", "H", "H", "H"], "positions_angstrom": [[1.600, 1.896, -0.530], [1.804, 0.477, -0.329], [0.375, -0.873, 0.731], [2.055, -0.171, -1.471], [0.157, -1.487, 1.974], [1.460, 0.164, -2.175], [-0.154, -0.751, 2.530], [0.719, -1.626, 0.136], [1.042, 2.151, -1.434], [1.113, 2.299, 0.353], [2.609, 2.326, -0.605], [-1.980, -1.408, -0.143], [-1.012, -0.246, 0.105], [-1.514, 0.515, 1.216], [-0.647, 0.437, -0.924], [-1.009, 1.338, 1.202], [-2.901, -1.002, -0.558], [-1.530, -2.094, -0.860], [-2.188, -1.945, 0.782]], "gap_ev": [8.87, 7.40], "multiplicity": 1, "fmax_ev_per_a": 2.02, "relative_energy_kj_mol": 697.9, "mol_weight_g_mol": 138.12, "charge": 0}

(4)
____________

"I know this isn't really the right time but...will you marry me," he asks and my mouth flys open

**The page is interrupted by molecular data**
+++
15
Properties=species:S:1:pos:R:3 method="wB97M-V/def2-TZVPD" e_lumo_ev=-0.31 gap_ev=8.96 de_lowest_ev=9.2068 max_force_ev_per_a=8.37
C 0.597 -0.639 0.560
C 0.317 0.381 -0.568
C -1.263 1.526 0.788
H -0.050 -2.166 1.676
H -0.925 -1.775 0.083
H 0.786 -0.242 1.513
H 1.630 -1.198 0.394
H 0.175 2.463 -0.737
H -1.403 0.357 1.269
H 0.857 -1.004 -3.272
N -0.515 -1.480 1.009
N -0.417 1.465 -0.175
N 0.324 0.264 -1.846
O -1.528 2.740 1.368
O 1.415 -0.690 -2.060

=====

No. 1
# C62H138N14O19

A 19-piece molecular cluster, C62H138N14O19 overall (the ωB97M-V functional and the def2-TZVPD basis, the OMol25 dataset).

CARTESIAN COORDINATES (ANGSTROEM)
1 C 6.720 0.871 2.844
2 O 6.923 2.032 3.197
3 N 6.723 0.453 1.572
4 C 6.296 -0.895 1.282
5 C 6.926 1.328 0.423
6 H 6.395 0.118 3.579
7 H 5.374 -0.920 0.701
8 H 6.074 -1.408 2.217
9 H 6.982 -1.579 0.781
10 H 7.261 0.721 -0.418
11 H 5.963 1.720 0.099
12 H 7.631 2.151 0.540
13 C 3.334 1.448 4.511
14 O 2.959 0.768 3.542
15 N 2.881 2.669 4.794
16 C 3.387 3.449 5.900
17 C 1.956 3.331 3.929
18 H 4.158 1.064 5.132
19 H 4.274 2.977 6.321
20 H 2.672 3.699 6.683
21 H 3.649 4.466 5.608
22 H 2.486 3.982 3.235
23 H 1.470 2.631 3.250
24 H 1.292 3.970 4.512
25 C -5.331 -3.136 -0.953
26 O -5.437 -2.028 -0.374
27 N -4.313 -3.382 -1.820
28 C -4.038 -4.784 -2.150
29 C -3.216 -2.452 -2.261
30 H -5.991 -4.002 -0.787
31 H -4.405 -4.985 -3.156
32 H -4.662 -5.437 -1.539
33 H -2.977 -5.003 -2.036
34 H -2.420 -2.543 -1.523
35 H -2.902 -2.727 -3.268
36 H -3.468 -1.393 -2.210
37 C -0.587 -5.726 2.668
38 O 0.483 -6.304 2.654
39 N -0.798 -4.761 1.725
40 C -2.214 -4.332 1.537
41 C 0.072 -4.419 0.572
42 H -1.440 -5.916 3.338
43 H -2.760 -4.243 2.477
44 H -2.775 -5.000 0.883
45 H -2.289 -3.304 1.183
46 H 0.294 -3.352 0.593
47 H 0.984 -5.012 0.644
48 H -0.374 -4.644 -0.397
49 C 3.395 -3.674 -2.903
50 O 2.769 -4.552 -3.500
51 N 4.636 -3.239 -3.341
52 C 5.417 -2.291 -2.524
53 C 5.274 -3.744 -4.533
54 H 3.083 -3.191 -1.964
55 H 6.438 -2.618 -2.325
56 H 5.009 -2.247 -1.515
57 H 5.342 -1.261 -2.872
58 H 6.136 -4.384 -4.344
59 H 4.562 -4.412 -5.016
60 H 5.730 -2.982 -5.166
61 C -4.215 -0.770 2.377
62 O -3.505 0.232 2.195
63 N -4.066 -1.711 3.369
64 C -5.082 -2.670 3.695
65 C -2.992 -1.544 4.399
66 H -5.161 -0.920 1.834
67 H -5.633 -2.898 2.782
68 H -5.776 -2.367 4.479
69 H -4.546 -3.558 4.028
70 H -2.365 -2.436 4.397
71 H -2.427 -0.615 4.323
72 H -3.492 -1.584 5.367
73 C 0.960 5.974 -3.786
74 O 1.445 6.768 -2.912
75 N 0.330 4.834 -3.573
76 C -0.146 4.079 -4.686
77 C 0.179 4.220 -2.258
78 H 1.127 6.250 -4.839
79 H 0.583 3.326 -4.982
80 H -0.443 4.671 -5.552
81 H -1.045 3.472 -4.580
82 H 0.115 4.914 -1.420
83 H -0.782 3.705 -2.269
84 H 0.911 3.438 -2.059
85 C 0.548 -6.965 -3.304
86 O -0.610 -6.669 -3.449
87 N 1.015 -8.105 -3.785
88 C 2.400 -8.423 -3.737
89 C 0.080 -9.029 -4.448
90 H 1.284 -6.352 -2.761
91 H 2.903 -7.729 -3.064
92 H 2.952 -8.469 -4.676
93 H 2.553 -9.415 -3.311
94 H -0.866 -8.567 -4.729
95 H 0.603 -9.397 -5.330
96 H -0.203 -9.918 -3.885
+++

"I-I. Wow," I mumble

"I know. And I mean," he starts and sighs. I was gonna wait for tonight and I was gonna take you out but. Our son had different plans. Its alright if your not ready. I'll wait."

I laugh, "you idiot. Of course I'll marry you. I was just shocked. I mean. Who else do you know who literally gave birth and then three minutes later is asked to me married."

He chuckles and shrugs before lipping the ring on my finger.

"You know. I knew from the moment I let you go. I was gonna get you back. And I was gonna keep you forever," he says

"That sounded like you want to own me," I joke

"Well you already know. You are mine,"

"Yes. And you shall be mine. Forever," I smile

After everybody met Christopher, peter went into the hallway with his phone.

Finally he comes back smiling.

"What's the he smile for," I ask

"I just got our dinner to be delivered here along with three virgin strawberry daiquiris.

"Oh baby. I love you so much," I say and kiss him.

"So," he smirks, "when do you wanna get married?"

Five months later

"Through sickness and in health. Through rich and through poor. Till death do us part," Peter says with tears in his eyes

"I now pronounce you husband and wife. Peter you-,".

Peter cuts Felix off by kissing me.

Everyone laughs and Felix rolls his eyes.

After our party I take Chris to the bathroom so I can breast feed. Halfway through the process peter calls asking where Chris was and if we got kidnaped.

When Chris finished, I burped him and bring him back out.

  On our way home peter says, "I was talking to hook and umm...how would you like to go to Neverland for our honeymoon."

"Id love too. But we have Chris," I say

"Hook and Emma said they wound take him," he says smiling

P | Here is an isolated ion of composition C10H15N2 and charge +1 from OMol25. Energies are from wB97M-V/def2-TZVPD.

Summary:
E_HOMO   -12.0 eV
E_LUMO   -3.173 eV
Molar mass   163.244 g mol⁻¹
Charge   +1

Last column: Löwdin charge in e.
Atoms and positions in Å:
C  3.302  0.203  -0.574  -0.072
C  -1.597  0.693  -0.070  -0.387
H  1.595  2.285  1.424  0.134
H  0.484  -2.395  -0.930  0.104
H  -0.895  -2.786  0.887  0.139
H  -0.485  1.072  -1.721  0.052
H  3.702  2.179  0.030  0.133
C  1.751  1.486  0.687  -0.032
H  -0.563  -1.239  -1.417  0.090
H  -0.708  1.716  1.361  0.169
N  -0.952  -1.887  0.532  0.214
C  2.978  1.349  0.095  -0.064
C  0.749  0.594  0.545  -0.245
N  -0.574  0.804  0.897  0.028
C  -0.021  -1.567  -0.600  -0.085
H  -0.837  -1.229  1.340  0.165
H  -3.713  0.516  -0.016  0.100
C  -2.893  0.464  0.700  -0.022
C  -1.439  0.893  -1.416  0.116
H  -2.973  -0.381  1.235  0.028
H  -3.095  1.287  1.306  0.077
H  -1.946  -1.720  0.234  0.167
C  2.422  -0.853  -0.566  -0.007
H  2.637  -1.775  -0.972  0.093
C  1.084  -0.614  -0.163  -0.118
H  -2.369  0.809  -1.998  0.099
H  4.354  0.097  -0.829  0.122

Q | Here is an isolated ion of composition C10H15N2 and charge +1 from OMol25. Energies are from wB97M-V/def2-TZVPD.

Summary:
E_HOMO   -10.7 eV
E_LUMO   -3.326 eV
Molar mass   163.244 g mol⁻¹
Charge   +1

Last column: Löwdin charge in e.
Atoms and positions in Å:
H  2.698  -1.056  0.171  0.100
C  0.743  -0.295  0.174  -0.175
H  2.343  2.652  1.318  0.068
H  0.305  1.678  0.589  0.123
H  1.992  2.378  -0.926  0.100
C  -1.755  0.324  0.116  -0.061
C  1.177  1.126  0.227  -0.300
H  -4.938  0.827  -0.559  0.101
H  2.186  0.886  -1.677  0.161
C  -3.078  0.097  -0.159  -0.160
H  0.614  1.612  -1.691  0.263
C  -0.970  -1.958  -0.109  -0.038
C  1.265  -2.666  0.125  -0.077
H  -1.998  -2.049  -0.369  0.086
H  -1.382  1.375  0.262  0.094
N  -4.019  1.088  -0.255  0.092
C  2.329  1.596  1.191  -0.021
C  -0.637  -0.659  0.155  -0.184
C  1.683  -1.344  0.148  -0.032
H  -3.923  1.945  0.201  0.080
H  -0.425  -4.066  -0.320  0.127
H  1.989  -3.462  0.103  0.105
N  1.628  1.535  -1.163  0.246
H  2.211  1.024  2.200  0.142
C  -0.052  -3.039  -0.145  -0.015
H  -3.321  -0.883  -0.499  0.102
H  3.334  1.335  0.890  0.075

Ranking the structures above by energy, Q is first and the second is 4.3 kcal/mol behind.

~~~~~

7 unconnected molecules or ions with the total composition C32H72NO7 in a non-equilibrium geometry. Source: the Open Molecules 2025 dataset; level of theory: ωB97M-V/def2-TZVPD.

XYZ file:
```
112
C32H72NO7 | the Open Molecules 2025 dataset | ωB97M-V/def2-TZVPD
O 4.56 5.36 -10.45
O -0.95 0.99 -4.17
O 1.13 -6.07 7.16
O -4.16 -3.08 -0.77
O 1.91 2.50 0.64
O -2.21 0.99 5.74
O 2.45 0.89 -7.35
N -4.78 -1.29 4.85
C -1.55 2.19 5.25
C -0.84 -1.43 -4.39
C 1.91 1.14 -9.70
C 4.16 5.96 -8.13
C 0.43 -7.29 6.93
C 0.57 1.91 -1.31
C 0.26 -2.79 5.92
C -4.30 1.37 4.60
C 2.60 1.74 -8.48
C 0.62 2.62 0.04
C -3.07 -0.94 -0.43
C 0.58 -8.24 8.11
C -0.66 -2.57 4.73

"Okay fine,"

Three days later
(In Peter's old treehouse)

I sit at Peter's old desk and smile. It feels like yesterday I was in here.

"It's weird. Being back here. Its like we never left," Peter says leaning against the door.

"Yeah. Remember when we'd get into small arguments here. And I'd win,"

"I'd let you win,"

"Sure you did," I say

"I'm so glad I get to spend the rest of my life with you Cassy. And our son," Peter's says smiling and hugging me from behind

"I couldn't agree more," I say and kiss him

Breaking the Broken (OUAT)Onde histórias criam vida. Descubra agora